Feature Requests
Product review section too - obviously. Maybe How To as well.
I think a Projects section where folks can post up current projects they're working on etc. kinda like that other place. I dont know how specific you want to get with sub forums ie: networking, voip, windows server, linux, wifi, be your own isp. Actually a "MSP Only" section could be cool, kind of a place for everyone to talk shop?
@Hubtech I like the MSP group idea.
Another thing that drives me nuts at the moment is when I go to unread and select one it takes me to the top of the thread instead of the new post. I have to scroll down each time to find it. I do, however, love the real-time updates and not having to refresh to see new notifications is awesome!
tapatalk compatibility, and maybe not list every new thing that has happened in the updates. maybe just posts you've participated in?
@Hubtech Agreed. At the moment, EVERYTHING new shows up. That's going to get annoying QUICK!
Part of the idea is to keep the Groups small so that people can find things. But that is what tagging will be for. Do not have it yet but will soon right @steve?
@Addie working on a hashtag going option today.
@ajstringham said:
@Hubtech Agreed. At the moment, EVERYTHING new shows up. That's going to get annoying QUICK!
That is how I have always used SW. One feed with all updates in it. It's not as bad as it seems.
@scottalanmiller said:
@ajstringham said:
@Hubtech Agreed. At the moment, EVERYTHING new shows up. That's going to get annoying QUICK!
That is how I have always used SW. One feed with all updates in it. It's not as bad as it seems.
Yeah, I like the idea of having all your subscribed interests show up as unread. That way, you won't miss things that got buried. Think of how quick WC posts get put up on SW. You are bound to miss some. But if each unread one shows in an alert box, you see everything and can comment on all of them!!!! Mwa ha ha!
I would like to see a list feature like the other place has that people can spi... I mean vote up.
I also agree with Scott, again, gee do I ever have my own thoughts?... I like the notices for all new posts - now to setup and maybe use RSS though so I can keep track easier.
Additional features
Tapatalk - already mentioned above
Forum Runner
As @ajstringham said, when you click the link for a new post, it takes you to that post, not the top of the thread.I LOVE the live chat feature!!! Though compatibility with traditional chat clients would be fantastic.
@Dashrender So there is a feature with that. Look at the arrows that are up and down with the number in-between on each post and on the OP.
I believe there is an RSS feed but would have to see where. @steve might have more insight.
[Here the entry breaks off for data records]
'''
(1)
ORCA calculation (wB97M-V/def2-TZVPD) on a single C5H8O molecule.

Each line ends with the natural charge from an NBO analysis.
CARTESIAN COORDINATES (ANGSTROEM)
C  -1.431683  -1.007706  -0.492342  -0.688
C  -0.523659  0.104265  -0.932880  0.081
C  0.367520  0.999176  0.873480  -0.332
C  0.799145  0.308946  -0.540372  -0.328
C  1.536564  -0.129972  0.759332  0.243
O  2.751430  0.134182  0.938221  -0.747
H  -0.949034  -1.673112  0.228604  0.235
H  -2.369699  -0.631999  -0.063779  0.240
H  -1.716930  -1.599125  -1.377868  0.250
H  -0.930433  0.762683  -1.712271  0.215
H  -0.541294  0.669904  1.362646  0.220
H  0.562033  2.074227  0.879881  0.235
H  1.382775  1.031462  -1.108298  0.247
H  1.063264  -1.042926  1.185640  0.128

Cartesian forces (eV/Å) of the 6 atoms listed first:
C 0.11 0.05 0.15
C 0.25 0.15 0.40
C -0.30 0.05 0.20
C 0.16 -0.25 -0.62
C -0.66 0.00 0.05
O -0.10 0.07 -0.16

The HOMO-LUMO gap (alpha / beta) is 7.17 / 7.17 eV.

(2)
ORCA calculation (wB97M-V/def2-TZVPD) on a single C4H7FOS molecule.

Each line ends with the natural charge from an NBO analysis.
CARTESIAN COORDINATES (ANGSTROEM)
C  1.165934  -0.873914  -0.491071  -0.098
C  -0.062142  -0.007179  -0.129262  -0.021
C  -0.553835  -0.074788  1.259133  -0.665
C  -0.481790  0.942663  -0.966576  -0.375
O  2.188690  -0.640659  0.456539  -0.660
F  3.614667  1.303649  -0.222327  -0.496
S  3.706757  -0.362118  -0.116631  0.856
H  1.509961  -0.643363  -1.562131  0.190
H  0.939358  -1.910769  -0.486319  0.184
H  -0.485326  0.845715  2.016842  0.234
H  -0.063997  -0.895905  1.779425  0.221
H  -1.634074  -0.240922  1.119054  0.228
H  -1.316563  1.600230  -0.676797  0.202
H  0.014374  1.045622  -1.939224  0.201

Cartesian forces (eV/Å) of the 6 atoms listed first:
C -1.01 1.59 -2.14
C 2.01 1.32 -0.72
C -1.08 0.79 2.02
C 0.04 -0.44 -0.21
O 1.98 0.09 0.01
F 0.24 -1.24 -0.04

The HOMO-LUMO gap is 9.63 eV. Its SMILES is C=C(C)COSF.

Calculated values (kcal per mole) of relative energy (zero: lowest compared OMol25 entry of this formula, charge and spin) for the records, taken in order: 105.8 42.4.

----------

<P>
Entry from the OMol25 dataset: a cluster of 2 separate species, C5H8N2O4 in total (the ωB97M-V functional and the def2-TZVPD basis).

Each line ends with the natural charge from an NBO analysis.
Geometry (Å):
O 1.09 1.43 -1.01  -0.74
O -1.12 0.18 -1.28  -0.64
O 1.92 -1.95 0.98  -0.61
O 1.68 1.84 1.18  -0.69
N -0.30 0.73 0.76  -0.63
N 2.80 -0.99 -0.95  -0.85
C -1.27 0.20 -0.05  0.64
C -3.47 -0.85 0.00  -0.27
C -2.43 -0.32 0.65  -0.31
C 2.08 -1.10 0.15  0.56
C 0.95 1.10 0.30  0.68
H -4.33 -1.24 0.51  0.20
H 0.30 1.00 -1.46  0.52
H -3.45 -0.93 -1.08  0.22
H 2.32 2.36 0.67  0.50
H 2.69 -0.16 -1.52  0.42
H 3.36 -1.75 -1.32  0.38
H -2.43 -0.24 1.72  0.21
H -0.40 0.70 1.76  0.43

Calculated values
LUMO (spin up / spin down), eV: -0.04 / -0.07


<Q>
Entry from the OMol25 dataset: an isolated molecule of C5H8N2O4 (the ωB97M-V functional and the def2-TZVPD basis).
'''
Also, agreed. The chat feature is quite nice.
@Dashrender Oh and to solve that use the bell feature on the right side of the header pane. Not as nice to work with as the unread one but it will take you directly to the post.
@ajstringham that only works for things that people tag you in, or at least where you are following the thread.
I really would like a "Projects" section. Example, I'm about to setup a from scratch exchange environment, it could be handy for some folks who haven't done it before to have a nice little step by step guide type post to help them through some drama
@Hubtech Might not be a bad idea. Not like the Spiceworks one but more of a discussion. I think if you created a discussion about your plans for it and allow for discussion about recommendations and then you post updates, etc. I think that could be really beneficial for the community here.
Sure, we can call it whatever you'd like. Even "guides" or How-To's.
@Hubtech Nope. How-tos are not happening AFAIK. Purely interactive content is wanted from my understanding. However, I like the idea. Planned Projects maybe? It has to be a discussion/group thing. Not making the same mistakes as other communities with static content. Send an email to [email protected] and she can help you.
Just so everyone is aware this thread is going to be locked for now. Starting this was a mistake on my part as it is too early in this community's history to start taking feature requests.
If you do have a feature request or something you would like to see added, please send an email to [email protected] with the subject line as "Feature Request".